_Brief_
Please set down everything underneath without altering anything.

_Input_
(1)
Entry from OMol25: 12 unconnected molecules or ions with the total composition C44H57N11O in a non-equilibrium geometry (the ωB97M-V functional and the def2-TZVPD basis).

Geometry (Å):
C: 6.80353 3.72808 0.99057
C: 6.02962 4.06696 2.16538
C: 4.69938 3.85407 1.79571
N: 4.64485 3.62008 0.45578
C: 5.93240 3.51497 -0.02002
H: 7.85589 3.71125 0.93811
H: 6.37202 4.24656 3.13498
H: 3.83250 3.91060 2.46749
H: 3.85442 3.23003 0.01187
H: 6.16788 3.16334 -0.99160
C: 3.05061 2.68426 -2.94893
C: 2.10520 2.31693 -1.93097
C: 1.82804 3.48085 -1.22284
N: 2.50362 4.49303 -1.78766
C: 3.11268 4.06869 -2.90940
H: 3.40677 2.01679 -3.63848
H: 1.74625 1.30879 -1.72182
H: 1.17691 3.62141 -0.32244
H: 2.47084 5.42631 -1.47774
H: 3.64217 4.71428 -3.56270
C: -3.36414 -0.46398 4.42237
C: -4.22690 -0.46054 3.23211
C: -3.82213 -1.40672 2.38100
N: -2.81680 -2.08406 2.95799
C: -2.54931 -1.54596 4.20928
H: -3.31573 0.13978 5.30803
H: -4.99979 0.31142 3.17960
H: -4.26587 -1.67949 1.45590
H: -2.38859 -2.95966 2.59867
H: -1.85989 -2.00670 4.89513
C: -5.77648 -0.35029 -0.91290
C: -5.36183 -0.23406 -2.25572
C: -4.71951 0.95662 -2.31783
N: -4.70949 1.55679 -1.05786
C: -5.49282 0.78618 -0.18813
H: -6.35200 -1.10584 -0.44185
H: -5.47449 -0.98770 -2.98301
H: -4.07114 1.40871 -3.06597
H: -4.08912 2.36610 -0.88833
H: -5.61532 1.03291 0.86881
C: -0.88412 -1.35471 -5.49600
C: 0.50260 -1.62358 -5.29104
C: 0.85539 -1.06186 -4.05918
N: -0.31004 -0.54552 -3.51944
C: -1.36227 -0.75630 -4.33391
H: -1.47025 -1.74857 -6.31614
H: 1.14406 -1.98214 -6.07585
H: 1.78418 -1.06873 -3.54695
H: -0.42944 -0.13209 -2.60559
H: -2.33274 -0.40324 -4.08383
C: 3.96884 -0.29739 -0.91231
C: 3.96259 -1.68111 -1.29384
C: 3.53868 -2.38971 -0.24006
N: 3.37806 -1.52475 0.81822
C: 3.57700 -0.23772 0.36899
H: 4.13893 0.55108 -1.55747
H: 3.99648 -2.02016 -2.31215
H: 3.22580 -3.41636 -0.22342
H: 3.02866 -1.82726 1.71291
H: 3.42005 0.63340 0.99860
C: -5.16409 4.56769 -3.24200
C: -5.43765 5.90805 -3.52948
C: -6.57413 6.21905 -2.83163
N: -7.02455 5.11337 -2.21046
C: -6.11761 4.08883 -2.40978
H: -4.33459 4.07528 -3.66017
H: -4.88353 6.59624 -4.17969
H: -7.10406 7.13588 -2.70881
H: -7.66387 5.23122 -1.49437
H: -6.24485 3.11394 -1.99358
C: 4.14916 -0.72565 4.93226
C: 3.41974 -1.21196 6.12657
C: 2.13514 -0.77209 6.01175
N: 2.02884 -0.01118 4.92598
C: 3.22228 -0.03730 4.22137
H: 5.19701 -0.78154 4.71426
H: 3.96950 -1.64431 6.95096
H: 1.26626 -0.84926 6.66770
H: 1.20981 0.32622 4.51753
H: 3.19469 0.38567 3.27682
C: 1.39322 -4.45214 2.28724
C: 2.74860 -4.68962 2.24143
C: 3.38948 -3.92504 3.22529
N: 2.46060 -3.21359 3.86778
C: 1.21310 -3.52920 3.39254
H: 0.64247 -4.80012 1.59777
H: 3.33814 -5.26963 1.49668
H: 4.43870 -3.87678 3.55658
H: 2.59748 -2.68173 4.75266
H: 0.41013 -2.97201 3.80101
C: -2.26864 -4.90912 -1.87424
C: -1.08177 -5.27187 -1.25025
C: -0.00246 -4.66473 -1.90546
N: -0.47916 -3.90762 -2.91561
C: -1.86355 -4.00986 -2.87099
H: -3.28016 -5.25310 -1.59775
H: -0.90501 -5.90448 -0.40759
H: 1.03156 -5.00687 -1.90604
H: 0.05435 -3.31966 -3.54991
H: -2.31760 -3.33819 -3.59940
C: -1.19599 0.63299 -0.29636
C: 0.07302 0.11850 -0.10916
C: 0.01130 -1.24634 -0.35807
N: -1.28149 -1.53372 -0.75339
C: -2.05361 -0.39599 -0.76914
H: -1.41806 1.73269 -0.11744
H: 0.85743 0.69723 0.33603
H: 0.77833 -2.00191 -0.42071
H: -1.57529 -2.41847 -1.18455
H: -3.16346 -0.49408 -0.95930
O: -0.17233 0.69069 3.22876
H: -0.98430 0.69195 3.74278
H: -0.33522 0.22958 2.37946

Forces on the atoms, in the same order (eV/Å):
-0.884 1.105 1.386
-1.317 -1.574 -2.264
0.810 1.033 1.462
1.031 -0.256 0.563
-0.256 -0.451 0.055
0.912 0.000 -0.190
0.454 0.336 1.189
0.283 -0.003 -0.762
-0.815 -0.249 -0.711
-0.205 -0.038 -0.769
-2.537 1.784 1.664
0.628 0.420 0.397
-1.373 -1.725 1.555
-0.621 0.305 -0.631
1.550 -1.480 -0.253
0.984 -1.154 -1.750
0.127 0.531 0.006
0.809 -0.055 -1.082
-0.061 0.975 0.227
0.382 0.564 -0.194
-0.205 -1.543 -1.766
-0.234 3.089 2.588
-0.742 -0.267 -0.457
1.708 -1.715 0.846
0.109 -0.118 -0.215
-0.427 0.224 0.020
0.176 -0.600 -0.618

_Written answer_
(1)
Entry from OMol25: 12 unconnected molecules or ions with the total composition C44H57N11O in a non-equilibrium geometry (the ωB97M-V functional and the def2-TZVPD basis).

Geometry (Å):
C: 6.80353 3.72808 0.99057
C: 6.02962 4.06696 2.16538
C: 4.69938 3.85407 1.79571
N: 4.64485 3.62008 0.45578
C: 5.93240 3.51497 -0.02002
H: 7.85589 3.71125 0.93811
H: 6.37202 4.24656 3.13498
H: 3.83250 3.91060 2.46749
H: 3.85442 3.23003 0.01187
H: 6.16788 3.16334 -0.99160
C: 3.05061 2.68426 -2.94893
C: 2.10520 2.31693 -1.93097
C: 1.82804 3.48085 -1.22284
N: 2.50362 4.49303 -1.78766
C: 3.11268 4.06869 -2.90940
H: 3.40677 2.01679 -3.63848
H: 1.74625 1.30879 -1.72182
H: 1.17691 3.62141 -0.32244
H: 2.47084 5.42631 -1.47774
H: 3.64217 4.71428 -3.56270
C: -3.36414 -0.46398 4.42237
C: -4.22690 -0.46054 3.23211
C: -3.82213 -1.40672 2.38100
N: -2.81680 -2.08406 2.95799
C: -2.54931 -1.54596 4.20928
H: -3.31573 0.13978 5.30803
H: -4.99979 0.31142 3.17960
H: -4.26587 -1.67949 1.45590
H: -2.38859 -2.95966 2.59867
H: -1.85989 -2.00670 4.89513
C: -5.77648 -0.35029 -0.91290
C: -5.36183 -0.23406 -2.25572
C: -4.71951 0.95662 -2.31783
N: -4.70949 1.55679 -1.05786
C: -5.49282 0.78618 -0.18813
H: -6.35200 -1.10584 -0.44185
H: -5.47449 -0.98770 -2.98301
H: -4.07114 1.40871 -3.06597
H: -4.08912 2.36610 -0.88833
H: -5.61532 1.03291 0.86881
C: -0.88412 -1.35471 -5.49600
C: 0.50260 -1.62358 -5.29104
C: 0.85539 -1.06186 -4.05918
N: -0.31004 -0.54552 -3.51944
C: -1.36227 -0.75630 -4.33391
H: -1.47025 -1.74857 -6.31614
H: 1.14406 -1.98214 -6.07585
H: 1.78418 -1.06873 -3.54695
H: -0.42944 -0.13209 -2.60559
H: -2.33274 -0.40324 -4.08383
C: 3.96884 -0.29739 -0.91231
C: 3.96259 -1.68111 -1.29384
C: 3.53868 -2.38971 -0.24006
N: 3.37806 -1.52475 0.81822
C: 3.57700 -0.23772 0.36899
H: 4.13893 0.55108 -1.55747
H: 3.99648 -2.02016 -2.31215
H: 3.22580 -3.41636 -0.22342
H: 3.02866 -1.82726 1.71291
H: 3.42005 0.63340 0.99860
C: -5.16409 4.56769 -3.24200
C: -5.43765 5.90805 -3.52948
C: -6.57413 6.21905 -2.83163
N: -7.02455 5.11337 -2.21046
C: -6.11761 4.08883 -2.40978
H: -4.33459 4.07528 -3.66017
H: -4.88353 6.59624 -4.17969
H: -7.10406 7.13588 -2.70881
H: -7.66387 5.23122 -1.49437
H: -6.24485 3.11394 -1.99358
C: 4.14916 -0.72565 4.93226
C: 3.41974 -1.21196 6.12657
C: 2.13514 -0.77209 6.01175
N: 2.02884 -0.01118 4.92598
C: 3.22228 -0.03730 4.22137
H: 5.19701 -0.78154 4.71426
H: 3.96950 -1.64431 6.95096
H: 1.26626 -0.84926 6.66770
H: 1.20981 0.32622 4.51753
H: 3.19469 0.38567 3.27682
C: 1.39322 -4.45214 2.28724
C: 2.74860 -4.68962 2.24143
C: 3.38948 -3.92504 3.22529
N: 2.46060 -3.21359 3.86778
C: 1.21310 -3.52920 3.39254
H: 0.64247 -4.80012 1.59777
H: 3.33814 -5.26963 1.49668
H: 4.43870 -3.87678 3.55658
H: 2.59748 -2.68173 4.75266
H: 0.41013 -2.97201 3.80101
C: -2.26864 -4.90912 -1.87424
C: -1.08177 -5.27187 -1.25025
C: -0.00246 -4.66473 -1.90546
N: -0.47916 -3.90762 -2.91561
C: -1.86355 -4.00986 -2.87099
H: -3.28016 -5.25310 -1.59775
H: -0.90501 -5.90448 -0.40759
H: 1.03156 -5.00687 -1.90604
H: 0.05435 -3.31966 -3.54991
H: -2.31760 -3.33819 -3.59940
C: -1.19599 0.63299 -0.29636
C: 0.07302 0.11850 -0.10916
C: 0.01130 -1.24634 -0.35807
N: -1.28149 -1.53372 -0.75339
C: -2.05361 -0.39599 -0.76914
H: -1.41806 1.73269 -0.11744
H: 0.85743 0.69723 0.33603
H: 0.77833 -2.00191 -0.42071
H: -1.57529 -2.41847 -1.18455
H: -3.16346 -0.49408 -0.95930
O: -0.17233 0.69069 3.22876
H: -0.98430 0.69195 3.74278
H: -0.33522 0.22958 2.37946

Forces on the atoms, in the same order (eV/Å):
-0.884 1.105 1.386
-1.317 -1.574 -2.264
0.810 1.033 1.462
1.031 -0.256 0.563
-0.256 -0.451 0.055
0.912 0.000 -0.190
0.454 0.336 1.189
0.283 -0.003 -0.762
-0.815 -0.249 -0.711
-0.205 -0.038 -0.769
-2.537 1.784 1.664
0.628 0.420 0.397
-1.373 -1.725 1.555
-0.621 0.305 -0.631
1.550 -1.480 -0.253
0.984 -1.154 -1.750
0.127 0.531 0.006
0.809 -0.055 -1.082
-0.061 0.975 0.227
0.382 0.564 -0.194
-0.205 -1.543 -1.766
-0.234 3.089 2.588
-0.742 -0.267 -0.457
1.708 -1.715 0.846
0.109 -0.118 -0.215
-0.427 0.224 0.020
0.176 -0.600 -0.618